04 Oct

Social Networking Sites in Armenia – Facebook for Elites, Odnoklassniki for Everyone Else

(This is a continuation of a post I made in 2010 about this issue. This analysis based on the 2013 Alternative Resources in Media dataset.)

So, the social networking site that one spends time on isn’t arbitrary. Research tells us that generally people go where their friends are, but also that there are demographic differences in site choice. A study of MySpace versus Facebook in 2007 is the classic case of this. For a variety of reasons, wealthier and more educated people were on Facebook and poorer and less educated people were on MySpace. Nowadays in the U.S., Facebook has sort of taken over the social networking space and a lot of those demographic differences have gone away.

In the 2010 analysis posted above, Facebook in Armenia was quite elite while Odnoklassniki was not. Some reasons include that Odnoklassniki was more accessible on for free or cheap on mobile devices, the Russian language interface was more accessible to those without English skills (at the time Facebook was mainly an English language platform), Odnoklassniki was more about fun (and porn), and Facebook wasn’t great on a mobile device.

Fast forward to 2013, and things have changed. Facebook has grown a lot globally. The Facebook mobile platform is very user-friendly. Russian and Armenian versions of Facebook work quite well. More Armenians are online as well.

So I looked once again at use. Let’s first look at the overall picture before going into the demographic differences.

(Note that this is PRIMARY SNS, they could have accounts on the other site.)
First you can see that a third of all Armenian adults are on a social networking site and 70% of all adult Armenian Internet users are on a social networking site. The Odnoklassniki versus Facebook breakdown is that 10% of all Armenian adults are on Facebook, but 20% of all Armenian adults are on Odnoklassniki. Of Internet users, less than a quarter are on Facebook while nearly half (45%) are on Odnoklassniki. The comparative breakdown is a third of SNS users on Facebook and two-thirds on Odnoklassniki.


In terms of the time that is spent on the social networking site, there weren’t tremendous differences. About a third are on the SNS several times a day and most of the rest of the users are on the SNS at least once a day.


So who is on each site?

(This is based on an ANOVA):

There is no difference in age between Facebook and Odnoklassniki and other SNS users in AGE. However, non SNS users are much older. It is the same story with ECONOMIC WELLBEING – non SNS users are poorer than SNS users. The same is for RUSSIAN skills – the only difference is with non-SNS users and users.
ENGLISH skills – Facebook users (and other SNS users, but they’re weird, so let’s ignore them) have statistically significantly higher English skills than others.
Facebook users are also statistically significantly higher in EDUCATION than everyone else.
No differences in SEX.

So, we can summarize that Facebook users are more elite – English speaking and better educated. Thus, not a big chance from 2010.

(This is based on a multinominal logistic regression):
Looking at this 2013 data, the determinants of being an Odnoklassniki user are the following. In this analysis, all the different factors consider each other, so for example, the influence of higher education on English language skill is cancelled out, so each variable is really telling its own story.

## Misplaced quantum chemistry results
<<<
1.
{
  "formula": "C4H7N3",
  "method": "ωB97M-V/def2-TZVPD",
  "e_lumo_ev": 0.6,
  "total_energy_ev": -8729.055,
  "smiles": "C1=NN=CNCC1",
  "spin_multiplicity": 1,
  "homo_lumo_gap_ev": 9.036,
  "de_lowest_kj_mol": 253.2,
  "max_force_ev_per_a": 3.744,
  "species": ["C", "N", "N", "C", "N", "C", "C", "H", "H", "H", "H", "H", "H", "H"],
  "coordinates": [[1.56441, -0.64384, -0.04134], [0.93960, -1.75385, -0.34897], [-0.40964, -1.92308, 0.08089], [-1.43651, -1.13158, 0.10115], [-1.36856, 0.20230, -0.08372], [-0.22074, 0.93934, -0.44517], [0.93024, 0.66247, 0.40711], [2.61807, -0.57682, -0.16697], [-2.50230, -1.32381, 0.29323], [-2.23167, 0.70888, 0.18900], [-0.49185, 2.06151, -0.34301], [0.13470, 0.83909, -1.47785], [1.69798, 1.43592, 0.38394], [0.77627, 0.50346, 1.45171]]
}

=====

2.
{
  "formula": "C3H2N2O2",
  "method": "ωB97M-V/def2-TZVPD",
  "e_lumo_ev": -0.3,
  "total_energy_ev": -10214.981,
  "spin_multiplicity": 1,
  "homo_lumo_gap_ev": 10.929,
  "de_lowest_kj_mol": 309.5,
  "max_force_ev_per_a": 1.113,
  "species": ["O", "C", "C", "N", "C", "N", "O", "H", "H"],
  "coordinates": [[-1.31106, 0.15277, -1.37597], [-1.46960, -0.35328, -0.30594], [0.07452, 1.80620, 0.90218], [0.88092, 1.05290, 0.47504], [1.40358, -0.10947, -0.04290], [0.73361, -1.18831, -0.15924], [-0.55035, -1.07722, 0.39262], [-2.37475, -0.31739, 0.31456], [2.44368, -0.11516, -0.35099]]
}

=====

3.
{
  "formula": "CH7N6",
  "method": "ωB97M-V/def2-TZVPD",
  "e_lumo_ev": -3.6,
  "total_energy_ev": -10082.381,
  "spin_multiplicity": 1,
  "charge": 1,
  "homo_lumo_gap_ev": 10.003,
  "de_lowest_kj_mol": 195.1,
  "max_force_ev_per_a": 3.983,
  "species": ["C", "N", "N", "N", "N", "N", "N", "H", "H", "H", "H", "H", "H", "H"],
  "coordinates": [[-0.99634, 0.77718, -0.06007], [-2.41818, 0.33627, -0.04025], [-2.38871, -0.90014, -0.06028], [-0.18935, -0.28552, -0.07490], [-1.15188, -1.33975, -0.10851], [-0.95336, 2.11480, -0.01521], [2.24408, -0.75730, 0.02465], [1.22957, -0.17653, 0.24077], [-0.74770, -2.16949, 0.29566], [-0.18440, 2.60688, 0.35481], [-1.71778, 2.67375, -0.32129], [2.92783, -0.23854, -0.50174], [1.78877, -1.41453, -0.59524], [2.55744, -1.22709, 0.86161]]
}

=====

4.
{
>>>

First, Sex – men are more likely to be on Odnoklassniki than women. Next, Russian language skills – those with better Russian are more likely to be on Odnoklassniki than those with poor Russian. Then English skills matter. Then education.
Determinants of being on Facebook are first English skill. Better English means more likely to be on Facebook. Next, higher education. Russian language skill matters next.

For both Odnoklassniki and Facebook, age and economic status didn’t matter much. However, younger and wealthier people are more likely to be online. So it appears that once you’re online, your choice of social networking site is more about language skills and education.

So, with that, what are people doing on social networking sites?

Remember that Facebook users are more “elite” – so the activities they do will likely be more elite as well.

In terms of communicating with friends, posting photos, and entertainment no big differences between the sites. However, Facebook users are more interested in getting and sharing information. Odnoklassniki users are also playing more games than Facebook users.


When asked what the most important activity on a social networking site, Facebook users were much more likely to say getting information.


When asked about sharing political and social information, Facebook users are much more likely to share than Odnoklassniki users. But the majority of all social networking site users aren’t sharing (they say!).


10 May

The least expected post… Bathroom cleaning in Azerbaijan


3 young activists are currently in administrative detention in Azerbaijan. The Azerbaijani internet is in a tizzy because photos emerged in the past few days of these young men cleaning bathrooms. Today some Azerbaijanis on Facebook are posting “solidarity” photos of themselves cleaning bathrooms. (Here is a May 14 RFERL piece on this.)

As I saw this I remembered a battery of questions on the Spring 2012 Social Capital, Media and Gender Survey in Azerbaijan survey that deal with household cleaning. I did a gender analysis on it here.

So, this morning I looked at just the question “When you were a child/teenager, were you taught how to clean the bathroom/toilet?” Only 55% of Azerbaijanis said yes.


I bet you can guess who those 55% are!!

The most obvious question is one of gender. No surprise here, 88% of women and only 12% of men were taught to clean the bathroom as a child.


But maybe there are some differences by education level, economic wellbeing, and urban/rural?

Looks like those PhDs never learned how to clean a bathroom, huh?


Economic wellbeing is more interesting. Seems that the very wealthy, unsurprisingly, didn’t learn how to clean bathrooms, whereas those in the middle are the most likely. (Maybe the very very poor have outhouses?)


There were very little regional differences.


BUT, very importantly – we should never take these breakdowns at face value. Rural people tend to have less education and less wealth, right? All of these things overlap so much. This is why it is important to do MULTIVARIATE analysis! (This analysis explained 64% of the reasons why one had learned how to clean a bathroom – this is pretty great! Social scientists start getting happy when they can explain 25% of the variance.)

So, I did one (actually I did this first, but I figured people would be interested in the demographic breakdowns first.)

I looked at age, gender, region, wealth, and education.

The strongest determinant of having learned to clean a bathroom as a child was, of course, gender. Taking into consideration all other demographics, women were 4 times as likely as men to have learned how to clean a bathroom.

The next most important factor was age. In a distribution, however, it seemed that while older Azerbaijanis were more likely to have learned bathroom cleaning skills, there wasn’t a huge difference between age categories. (Those that had learned were on average 2.6 years older than those who hadn’t. Statistically significant, but not interpretively interesting.)

The next most important factor was education, however, as you saw in the histogram above, the distribution was almost a normal curve, so there isn’t much that we can say about this.

Region matters, but not that much.

Then economic wellbeing was the next determinant. But again, in the histrogram there was a normal curve, so not much to say.

08 Jul

Central Asian Women

While CRRC is known for its Caucasus Barometer, in Winter 2011, a Central Asian survey was conducted to look at access to justice in Kazakhstan, Kyrgyzstan, and Tajikistan. (Here are the data files and methodological notes.)

These analyses are only on the issues related to women in Central Asia. There is a lot more in this dataset.